-- Material --
........
[1]
A plane-wave DFT calculation with PBE was carried out for a relaxed structure of Pm2Zn16Ge.

## Properties
The value obtained for the final energy is -2.0506 eV per atom. Its formation energy from the elements is -235 meV per atom. The spin magnetization is 0.00 μB/cell. The space-group type is No. 160.

abc: 6.839 6.839 6.839
angles: 83.81 83.81 83.81
Sites, in units of the cell vectors:
Pm: 0.000 0.000 0.000
Pm: 0.333 0.333 0.333
Zn: 0.014 0.014 0.501
Zn: 0.014 0.501 0.014
Zn: 0.156 0.671 0.671
Zn: 0.315 0.315 0.835
Zn: 0.315 0.835 0.315
Zn: 0.361 0.666 0.970
Zn: 0.361 0.970 0.666
Zn: 0.501 0.014 0.014
Zn: 0.666 0.361 0.970
Zn: 0.666 0.970 0.361
Zn: 0.671 0.156 0.671
Zn: 0.671 0.671 0.156
Zn: 0.761 0.761 0.761
Zn: 0.835 0.315 0.315
Zn: 0.970 0.361 0.666
Zn: 0.970 0.666 0.361
Ge: 0.565 0.565 0.565



[2]
A plane-wave DFT calculation with PBE was carried out for a relaxed structure of Pm3ZnGe3.

## Properties
The value obtained for the final energy is -4.7432 eV per atom. The relative energy among the computed polymorphs is 1.39 eV per formula unit. Its formation energy from the elements is -546 meV per atom. The spin magnetization is 0.00 μB/cell. The space-group type is No. 176.

abc: 8.722 8.722 6.001
angles: 90.00 90.00 120.00
Sites, in units of the cell vectors:
Pm: 0.056 0.361 0.250
Pm: 0.305 0.944 0.250
Pm: 0.361 0.305 0.750
Pm: 0.639 0.695 0.250
Pm: 0.695 0.056 0.750
Pm: 0.944 0.639 0.750
Zn: 0.333 0.667 0.750
Zn: 0.667 0.333 0.250
Ge: 0.055 0.365 0.750
Ge: 0.309 0.945 0.750
Ge: 0.365 0.309 0.250
Ge: 0.635 0.691 0.750
Ge: 0.691 0.055 0.250
Ge: 0.945 0.635 0.250



[3]
A plane-wave DFT calculation with PBE was carried out for a relaxed structure of Pm6ZnGe2.

## Properties
The value obtained for the final energy is -4.6625 eV per atom. Its formation energy from the elements is -328 meV per atom. The spin magnetization is 0.00 μB/cell. The space-group type is No. 71.

abc: 8.734 8.734 8.734
angles: 146.47 131.83 59.96
Sites, in units of the cell vectors:
Pm: 0.083 0.334 0.749
Pm: 0.248 0.000 0.248
Pm: 0.415 0.666 0.749
Pm: 0.585 0.334 0.251
Pm: 0.752 0.000 0.752
Pm: 0.917 0.666 0.251
Zn: 0.000 0.500 0.500
Ge: 0.332 0.832 0.500
Ge: 0.668 0.168 0.500



[4]
A plane-wave DFT calculation with PBE was carried out for a relaxed structure of Pm3ZnGe2.

## Properties
The value obtained for the final energy is -4.6350 eV per atom. The relative energy among the computed polymorphs is 1.06 eV per formula unit. Its formation energy from the elements is -508 meV per atom. The spin magnetization is 0.00 μB/cell. The space-group type is No. 15.

abc: 7.549 7.549 8.422
angles: 106.29 106.29 47.17
Sites, in units of the cell vectors:
Pm: 0.045 0.955 0.750
Pm: 0.313 0.318 0.408
Pm: 0.318 0.313 0.908
Pm: 0.682 0.687 0.092
Pm: 0.687 0.682 0.592
Pm: 0.955 0.045 0.250
Zn: 0.444 0.556 0.250
Zn: 0.556 0.444 0.750
Ge: 0.154 0.162 0.079
Ge: 0.162 0.154 0.579
Ge: 0.838 0.846 0.421
Ge: 0.846 0.838 0.921



[5]
A plane-wave DFT calculation with PBE was carried out for a relaxed structure of PmZnGe4.

## Properties
The value obtained for the final energy is -4.2437 eV per atom. Its formation energy from the elements is -161 meV per atom. The spin magnetization is 0.00 μB/cell. The space-group type is No. 216.

abc: 5.583 5.583 5.583
angles: 60.00 60.00 60.00
Sites, in units of the cell vectors:
Pm: 0.000 0.000 0.000
Zn: 0.750 0.750 0.750
Ge: 0.375 0.375 0.375
Ge: 0.375 0.375 0.874
Ge: 0.375 0.874 0.375
Ge: 0.874 0.375 0.375



[6]
A plane-wave DFT calculation with PBE was carried out for a relaxed structure of Pm5Zn2Ge.

## Properties
The value obtained for the final energy is -4.2209 eV per atom. Its formation energy from the elements is -356 meV per atom. The spin magnetization is 0.00 μB/cell. The space-group type is No. 140.

abc: 9.279 9.279 9.279
angles: 131.77 131.77 70.59
Sites, in units of the cell vectors:
Pm: 0.000 0.000 0.000
Pm: 0.013 0.513 0.833
Pm: 0.180 0.013 0.500
Pm: 0.320 0.820 0.833
Pm: 0.487 0.320 0.500
Pm: 0.500 0.500 0.000
........
-- Activity --
What is needed: restate every line further above that contains the word "type".
-- Written answer --
The value obtained for the final energy is -2.0506 eV per atom. Its formation energy from the elements is -235 meV per atom. The spin magnetization is 0.00 μB/cell. The space-group type is No. 160.
The value obtained for the final energy is -4.7432 eV per atom. The relative energy among the computed polymorphs is 1.39 eV per formula unit. Its formation energy from the elements is -546 meV per atom. The spin magnetization is 0.00 μB/cell. The space-group type is No. 176.
The value obtained for the final energy is -4.6625 eV per atom. Its formation energy from the elements is -328 meV per atom. The spin magnetization is 0.00 μB/cell. The space-group type is No. 71.
The value obtained for the final energy is -4.6350 eV per atom. The relative energy among the computed polymorphs is 1.06 eV per formula unit. Its formation energy from the elements is -508 meV per atom. The spin magnetization is 0.00 μB/cell. The space-group type is No. 15.
The value obtained for the final energy is -4.2437 eV per atom. Its formation energy from the elements is -161 meV per atom. The spin magnetization is 0.00 μB/cell. The space-group type is No. 216.
The value obtained for the final energy is -4.2209 eV per atom. Its formation energy from the elements is -356 meV per atom. The spin magnetization is 0.00 μB/cell. The space-group type is No. 140.